[Data]
'''
No. 1
ORCA calculation (ωB97M-V with the def2-TZVPD basis set) on a structure of composition C31H38AsCdN8O5PS2 in a non-equilibrium geometry.

Each line ends with the Löwdin charge.
Positions of all 87 atoms, in Å:
Cd -1.1781 -0.4214 0.4431  1.10
S -1.8055 -1.0325 -1.9140  0.37
C -0.4519 -1.9629 -2.5425  -0.74
C -0.7292 -2.9125 -3.5383  -0.15
C 0.2749 -3.6543 -4.1280  -0.10
C 1.5962 -3.4746 -3.7361  -0.10
C 1.8818 -2.5487 -2.7507  -0.14
C 0.8834 -1.7798 -2.1490  -0.44
As 1.3938 -0.5833 -0.6768  1.24
C 2.4902 -1.9581 0.1857  -0.38
C 3.8049 -1.7831 0.5963  -0.09
C 4.4896 -2.8094 1.2341  -0.08
C 3.8652 -4.0230 1.4705  -0.10
C 2.5500 -4.2092 1.0647  -0.09
C 1.8705 -3.1836 0.4287  -0.13
C 2.7333 0.4816 -1.6302  -0.38
C 2.7209 0.6092 -3.0155  -0.11
C 3.6055 1.4686 -3.6504  -0.08
C 4.5086 2.2162 -2.9091  -0.09
C 4.5148 2.1126 -1.5254  -0.08
C 3.6239 1.2607 -0.8917  -0.14
H -1.7621 -3.0533 -3.8304  0.09
H 0.0302 -4.3766 -4.8976  0.10
H 2.3921 -4.0556 -4.1844  0.10
H 2.9093 -2.4099 -2.4327  0.11
H 4.3068 -0.8426 0.4129  0.08
H 5.5153 -2.6574 1.5469  0.10
H 4.4010 -4.8277 1.9585  0.10
H 2.0615 -5.1607 1.2406  0.10
H 0.8503 -3.3411 0.0941  0.10
H 2.0174 0.0285 -3.5988  0.10
H 3.5875 1.5589 -4.7295  0.10
H 5.2042 2.8822 -3.4040  0.10
H 5.2061 2.7058 -0.9395  0.10
H 3.6053 1.2027 0.1909  0.09
C -1.6664 -4.3619 2.9782  0.00
C -1.4541 -2.9705 2.4473  -0.30
N -2.2800 -2.3319 1.7044  -0.07
O -3.4527 -2.9243 1.2869  -0.06
C -0.2225 -2.2641 2.8214  -0.35
C 0.6450 -2.7256 3.9529  -0.03
N 0.0592 -1.2031 2.1284  -0.27
O 1.0603 -0.4594 2.4157  -0.25
H -2.6976 -4.7030 2.8948  0.07
H -1.3966 -4.3906 4.0308  0.08
H -1.0203 -5.0608 2.4437  0.10
H -3.4255 -3.8759 1.4606  0.07
H 1.1553 -3.6589 3.7030  0.08
H 0.0708 -2.8696 4.8707  0.08
H 1.3986 -1.9585 4.1221  0.07
S -0.3033 2.3175 -1.2856  0.61
C -0.7313 3.4269 -2.4493  -0.75
N -1.5894 3.0474 -3.4504  0.05
C -2.0105 3.8669 -4.4433  -0.08
C -1.5885 5.1541 -4.4997  -0.08
C -0.6862 5.6102 -3.5047  -0.06
C -0.2724 4.7745 -2.5128  -0.08
H -1.8748 2.0752 -3.4188  0.12
H -2.6862 3.4408 -5.1709  0.13
H -1.9282 5.8093 -5.2866  0.10
H -0.3266 6.6301 -3.5466  0.11
H 0.4144 5.0901 -1.7417  0.11
C 1.6873 2.6127 1.8074  -0.14
O 0.3573 2.9550 2.2097  -0.32
P -0.8222 1.8594 2.1808  0.72
O -2.0788 2.9157 2.2818  -0.35
C -2.3843 3.8141 1.2246  -0.16
O -0.8062 1.4879 3.7464  -0.31
C -1.5254 0.4100 4.3183  -0.14
H 2.2829 3.5189 1.9016  0.09
H 1.6966 2.2795 0.7705  0.01
H 2.0958 1.8228 2.4399  0.08
H -3.3569 4.2551 1.4460  0.08
H -2.4278 3.3066 0.2607  0.02
H -1.6340 4.6060 1.1636  0.08
H -0.8361 -0.1678 4.9344  0.08
H -1.9669 -0.2409 3.5618  0.04
H -2.3224 0.8104 4.9498  0.08
N -5.7319 1.2013 2.7391  0.14
N -4.9908 1.0268 1.6036  -0.27
N -5.4448 1.3587 0.4178  0.14
C -4.3924 1.0931 -0.3442  -0.20
N -3.3630 0.6406 0.3760  -0.08
N -3.7688 0.5902 1.6238  0.07
H -6.7038 1.0050 2.5576  0.10
H -5.3381 0.6657 3.4974  0.10
H -4.3837 1.2229 -1.4114  0.11

Values from the calculation:
- ΔE to the lowest compared entry with this formula, charge and spin: 1.298 eV
- Gap between HOMO and LUMO: 7.023 eV
- HOMO energy: -6.8704 eV
- Max |F|: 0.0195 Eh/bohr

No. 2
ORCA calculation (ωB97M-V with the def2-TZVPD basis set) on a structure of composition C31H38BCeN11O3S in a non-equilibrium geometry.

Each line ends with the Löwdin spin population.
Positions of all 86 atoms, in Å:
Ce 0.0136 0.9231 -0.3600  1.01
C 2.8305 -2.7642 -4.3949  0.00
C 1.4633 -2.7991 -3.7575  0.00
C 0.4479 -3.7937 -3.9238  0.00
C -0.4529 -3.6084 -2.8811  0.00
C -1.6529 -4.4399 -2.5809  0.00
N 0.0468 -2.5866 -2.1042  0.00
N 1.0572 -1.9320 -2.8497  0.00
B 0.3599 -2.6891 -0.5131  0.00
N 1.8171 -2.1504 -0.3086  0.00
N 2.0653 -0.7472 -0.5295  0.00
C 3.4124 -0.5564 -0.5493  0.00
C 4.0943 0.7023 -0.9942  0.00
C 4.0501 -1.7919 -0.3284  0.00
C 3.0214 -2.7624 -0.2688  0.00
C 3.1818 -4.2384 -0.2027  0.00
N -0.5850 -1.8959 0.5478  0.00
N -0.0126 -0.9594 1.4411  0.00
C -0.6588 -1.0406 2.6168  0.00
C -0.3067 -0.3737 3.8854  0.00
C -1.7814 -1.9168 2.4407  0.00
'''

[Wanted]
Next, set down the whole of the lines above without altering anything.

[Response]
No. 1
ORCA calculation (ωB97M-V with the def2-TZVPD basis set) on a structure of composition C31H38AsCdN8O5PS2 in a non-equilibrium geometry.

Each line ends with the Löwdin charge.
Positions of all 87 atoms, in Å:
Cd -1.1781 -0.4214 0.4431  1.10
S -1.8055 -1.0325 -1.9140  0.37
C -0.4519 -1.9629 -2.5425  -0.74
C -0.7292 -2.9125 -3.5383  -0.15
C 0.2749 -3.6543 -4.1280  -0.10
C 1.5962 -3.4746 -3.7361  -0.10
C 1.8818 -2.5487 -2.7507  -0.14
C 0.8834 -1.7798 -2.1490  -0.44
As 1.3938 -0.5833 -0.6768  1.24
C 2.4902 -1.9581 0.1857  -0.38
C 3.8049 -1.7831 0.5963  -0.09
C 4.4896 -2.8094 1.2341  -0.08
C 3.8652 -4.0230 1.4705  -0.10
C 2.5500 -4.2092 1.0647  -0.09
C 1.8705 -3.1836 0.4287  -0.13
C 2.7333 0.4816 -1.6302  -0.38
C 2.7209 0.6092 -3.0155  -0.11
C 3.6055 1.4686 -3.6504  -0.08
C 4.5086 2.2162 -2.9091  -0.09
C 4.5148 2.1126 -1.5254  -0.08
C 3.6239 1.2607 -0.8917  -0.14
H -1.7621 -3.0533 -3.8304  0.09
H 0.0302 -4.3766 -4.8976  0.10
H 2.3921 -4.0556 -4.1844  0.10
H 2.9093 -2.4099 -2.4327  0.11
H 4.3068 -0.8426 0.4129  0.08
H 5.5153 -2.6574 1.5469  0.10
H 4.4010 -4.8277 1.9585  0.10
H 2.0615 -5.1607 1.2406  0.10
H 0.8503 -3.3411 0.0941  0.10
H 2.0174 0.0285 -3.5988  0.10
H 3.5875 1.5589 -4.7295  0.10
H 5.2042 2.8822 -3.4040  0.10
H 5.2061 2.7058 -0.9395  0.10
H 3.6053 1.2027 0.1909  0.09
C -1.6664 -4.3619 2.9782  0.00
C -1.4541 -2.9705 2.4473  -0.30
N -2.2800 -2.3319 1.7044  -0.07
O -3.4527 -2.9243 1.2869  -0.06
C -0.2225 -2.2641 2.8214  -0.35
C 0.6450 -2.7256 3.9529  -0.03
N 0.0592 -1.2031 2.1284  -0.27
O 1.0603 -0.4594 2.4157  -0.25
H -2.6976 -4.7030 2.8948  0.07
H -1.3966 -4.3906 4.0308  0.08
H -1.0203 -5.0608 2.4437  0.10
H -3.4255 -3.8759 1.4606  0.07
H 1.1553 -3.6589 3.7030  0.08
H 0.0708 -2.8696 4.8707  0.08
H 1.3986 -1.9585 4.1221  0.07
S -0.3033 2.3175 -1.2856  0.61
C -0.7313 3.4269 -2.4493  -0.75
N -1.5894 3.0474 -3.4504  0.05
C -2.0105 3.8669 -4.4433  -0.08
C -1.5885 5.1541 -4.4997  -0.08
C -0.6862 5.6102 -3.5047  -0.06
C -0.2724 4.7745 -2.5128  -0.08
H -1.8748 2.0752 -3.4188  0.12
H -2.6862 3.4408 -5.1709  0.13
H -1.9282 5.8093 -5.2866  0.10
H -0.3266 6.6301 -3.5466  0.11
H 0.4144 5.0901 -1.7417  0.11
C 1.6873 2.6127 1.8074  -0.14
O 0.3573 2.9550 2.2097  -0.32
P -0.8222 1.8594 2.1808  0.72
O -2.0788 2.9157 2.2818  -0.35
C -2.3843 3.8141 1.2246  -0.16
O -0.8062 1.4879 3.7464  -0.31
C -1.5254 0.4100 4.3183  -0.14
H 2.2829 3.5189 1.9016  0.09
H 1.6966 2.2795 0.7705  0.01
H 2.0958 1.8228 2.4399  0.08
H -3.3569 4.2551 1.4460  0.08
H -2.4278 3.3066 0.2607  0.02
H -1.6340 4.6060 1.1636  0.08
H -0.8361 -0.1678 4.9344  0.08
H -1.9669 -0.2409 3.5618  0.04
H -2.3224 0.8104 4.9498  0.08
N -5.7319 1.2013 2.7391  0.14
N -4.9908 1.0268 1.6036  -0.27
N -5.4448 1.3587 0.4178  0.14
C -4.3924 1.0931 -0.3442  -0.20
N -3.3630 0.6406 0.3760  -0.08
N -3.7688 0.5902 1.6238  0.07
H -6.7038 1.0050 2.5576  0.10
H -5.3381 0.6657 3.4974  0.10
H -4.3837 1.2229 -1.4114  0.11

Values from the calculation:
- ΔE to the lowest compared entry with this formula, charge and spin: 1.298 eV
- Gap between HOMO and LUMO: 7.023 eV
- HOMO energy: -6.8704 eV
- Max |F|: 0.0195 Eh/bohr

No. 2
ORCA calculation (ωB97M-V with the def2-TZVPD basis set) on a structure of composition C31H38BCeN11O3S in a non-equilibrium geometry.

Each line ends with the Löwdin spin population.
Positions of all 86 atoms, in Å:
Ce 0.0136 0.9231 -0.3600  1.01
C 2.8305 -2.7642 -4.3949  0.00
C 1.4633 -2.7991 -3.7575  0.00
C 0.4479 -3.7937 -3.9238  0.00
C -0.4529 -3.6084 -2.8811  0.00
C -1.6529 -4.4399 -2.5809  0.00
N 0.0468 -2.5866 -2.1042  0.00
N 1.0572 -1.9320 -2.8497  0.00
B 0.3599 -2.6891 -0.5131  0.00
N 1.8171 -2.1504 -0.3086  0.00
N 2.0653 -0.7472 -0.5295  0.00
C 3.4124 -0.5564 -0.5493  0.00
C 4.0943 0.7023 -0.9942  0.00
C 4.0501 -1.7919 -0.3284  0.00
C 3.0214 -2.7624 -0.2688  0.00
C 3.1818 -4.2384 -0.2027  0.00
N -0.5850 -1.8959 0.5478  0.00
N -0.0126 -0.9594 1.4411  0.00
C -0.6588 -1.0406 2.6168  0.00
C -0.3067 -0.3737 3.8854  0.00
C -1.7814 -1.9168 2.4407  0.00